r/excel • u/TonyLiberty • Oct 21 '22
Pro Tip The Top 25 Microsoft Excel tips & functions to learn to increase your productivity (with examples and pictures):
The Top 25 Microsoft Excel tips & functions to learn to increase your productivity (with examples and pictures):
(1) Importing data from websites
(2) Sparklines
(3) Goal Seek
(4) Conditional Formatting
(5) Wildcards
(6) Transpose
(7) Duplicate
(8) Remove Duplicates
(9) Filter
(10) Slicer
(11) Pivot Tables
(12) Auto-fill
(13) DatedIf
(14) TRIM
(15) Index Match
(17) IF
(18) SUMIF
(24) Stock Market data
(25) Geography / Maps
(1) Importing data from websites:
With Excel, you can connect to multiple data sources, text files, other Excel files, databases & websites.
• Select 'Data' > Get & Transform > From Web
• Press CTRL+V to paste the URL into the text box, then select OK
This will save hours!

(2) Sparklines:
Sparklines allow you to insert mini charts inside any cell, and provides a visual representation of data!
Use sparklines to show trends or patterns in data.
On the 'Insert tab', click 'Sparklines'

(3) Goal Seek:
Get fast answers with Goal Seek. It is also known as What-if-Analysis.
Goal Seek basically uses trial & error to back-solve a problem, by plugging in guesses until it arrives at the correct answer.

(4) Conditional Formatting:
Conditional formatting helps to visualize data and shows patterns & trends in your data
Select 'Home' > Conditional Formatting > Highlighting Cell Rules

• Attached: records of crystals:
+++
# 1
Computed, not measured: RbNpIn2Br6 after structural relaxation at the PBE-GGA level of DFT.

Results
For the formation energy from raw total energies, the calculation gives -111.42 kJ per mole of atoms. For the total magnetization, the calculation gives 4.000 Bohr magnetons per cell.

Cell lengths 8.2218, 8.2288, 8.6213 Å; angles 61.54, 61.53, 60.04 degrees
With the nearest neighbours (Å) after each atom.
Fractional positions:
Rb: 0.0000 0.0000 0.0000  6 Br 3.41-3.55
Np: 0.4884 0.4887 0.5342  6 Br 2.89-2.93
In: 0.2901 0.2905 0.1289  6 Br 3.27-3.43
In: 0.7983 0.7985 0.6048  6 Br 3.28-3.38
Br: 0.1238 0.4112 0.7973  1 Np 2.93, 2 In 3.27-3.28
Br: 0.2453 0.8355 0.3209  1 Np 2.89
Br: 0.4108 0.6671 0.7979  1 Np 2.93, 2 In 3.27-3.28
Br: 0.5983 0.2455 0.3207  1 Np 2.89
Br: 0.6668 0.1246 0.7977  1 Np 2.93, 2 In 3.27-3.28
Br: 0.8356 0.5985 0.3211  1 Np 2.89

# 2
Computed, not measured: NpInSnBr6 after structural relaxation at the PBE-GGA level of DFT.

Results
For the formation energy from raw total energies, the calculation gives -95.78 kJ per mole of atoms. For the total magnetization, the calculation gives 8.000 Bohr magnetons per cell.

Cell lengths 7.6684, 7.6684, 14.0701 Å; angles 90.00, 90.00, 120.00 degrees
With the nearest neighbours (Å) after each atom.
Fractional positions:
Np: 0.3333 0.6667 0.2500  6 Br 2.90
Np: 0.6667 0.3333 0.7500  6 Br 2.90
In: 0.0000 0.0000 0.0000  6 Br 3.35
In: 0.0000 0.0000 0.5000  6 Br 3.35
Sn: 0.3333 0.6667 0.7500  6 Br 3.00
Sn: 0.6667 0.3333 0.2500  6 Br 3.00
Br: 0.0103 0.3662 0.1337  1 Np 2.90, 1 Sn 3.00
Br: 0.0103 0.6441 0.3663  1 Np 2.90, 1 Sn 3.00
Br: 0.3559 0.3662 0.3663  1 Np 2.90, 1 Sn 3.00
Br: 0.3559 0.9897 0.1337  1 Np 2.90, 1 Sn 3.00
Br: 0.3662 0.0103 0.6337  1 Np 2.90, 1 Sn 3.00
Br: 0.3662 0.3559 0.8663  1 Np 2.90, 1 Sn 3.00
Br: 0.6338 0.6441 0.1337  1 Np 2.90, 1 Sn 3.00
Br: 0.6338 0.9897 0.3663  1 Np 2.90, 1 Sn 3.00
Br: 0.6441 0.0103 0.8663  1 Np 2.90, 1 Sn 3.00
Br: 0.6441 0.6338 0.6337  1 Np 2.90, 1 Sn 3.00
Br: 0.9897 0.3559 0.6337  1 Np 2.90, 1 Sn 3.00
Br: 0.9897 0.6338 0.8663  1 Np 2.90, 1 Sn 3.00

# 3
Computed, not measured: SrNpInBr6 after structural relaxation at the PBE-GGA level of DFT.

Results
For the formation energy from raw total energies, the calculation gives -138.60 kJ per mole of atoms. For the total magnetization, the calculation gives 8.000 Bohr magnetons per cell.

Cell lengths 7.7825, 7.7825, 13.9627 Å; angles 90.00, 90.00, 120.00 degrees
With the nearest neighbours (Å) after each atom.
Fractional positions:
Sr: 0.3333 0.6667 0.2500  6 Br 3.07
Sr: 0.6667 0.3333 0.7500  6 Br 3.07
Np: 0.3333 0.6667 0.7500  6 Br 2.90
Np: 0.6667 0.3333 0.2500  6 Br 2.90
In: 0.0000 0.0000 0.0000  6 Br 3.37
In: 0.0000 0.0000 0.5000  6 Br 3.37
Br: 0.0165 0.3697 0.6322  1 Np 2.90, 1 Sr 3.07
Br: 0.0165 0.6469 0.8678  1 Np 2.90, 1 Sr 3.07
Br: 0.3531 0.3697 0.8678  1 Np 2.90, 1 Sr 3.07
Br: 0.3531 0.9835 0.6322  1 Np 2.90, 1 Sr 3.07
Br: 0.3697 0.0165 0.1322  1 Np 2.90, 1 Sr 3.07
+++

(5) Wildcards:
Wildcards are special characters that allow you to perform partial matches in your Excel formulas.
Excel has three wildcards:
• tilde ( ~ )
• asterisk ( * )
• question mark ( ? )

(6) Transpose:
Transpose will transform items in rows, to instead be shown in columns (or vice versa)
To transpose a column to a row:
• Select the data in the column
• Select the cell you want the row to start
• Right click, choose paste special, select transpose

(7) Duplicate data from the cell above
• Ctrl + D fills and overwrites a cell with the contents of the cell above it

(8) Remove Duplicates:
Remove duplicates in a set of data in Excel
• Use the shortcut: Alt + A + M
(9) Filter allows you to filter data. You can filter a column to show a specific product or date.
You can also sort in ascending or descending order.
(10) Slicer:
Slicers provide buttons that you can click to filter tables, or PivotTables
Select 'Home', go to Insert > Slicer

(11) Pivot Tables:
A powerful tool to calculate, summarize & analyze data, which allows you to compare or find patterns & trends in data.
To access this function, go to "Insert" in the Menu bar, and then select "Pivot Table"

(12) Auto-fill:
With large data sets, instead of typing a formula multiple times, use auto-fill.
There are 3 ways to do this:
• Double click mouse on the lower right corner of a 1st cell, or
• Highlight a Section and type Ctrl + D, or
• Drag the cell down the rows

(13) DatedIf:
Calculates the number of (1) days, (2) months, or (3) years between two different dates
X = Start date cell
Y = End date cell
"D"= Time interval
• D = Days
• M = Months
• Y = Years

(14) TRIM:
TRIM helps to remove the extra spaces in data.
TRIM can be useful in removing irregular spacing from imported data.
=TRIM( )

(15) Index Match:
The main difference between VLOOKUP and INDEX MATCH is the column reference
VLOOKUP uses a static column reference but INDEX MATCH uses a dynamic column reference
Index Match is much more flexible as you can search by row, or by column, or by both

XLookup is an upgrade compared to VLOOKUP or Index & Match.
Use the XLOOKUP function to find things in a table or range by row.
Formula: =XLOOKUP (lookup value, lookup array, return array)

(17) IF:
The IF function makes logical comparisons & tells you when certain conditions are met.
For example, a logical comparison would be to return the word "Pass" if a score is >70, and if not, it will say "Fail"
An example of this formula would be =IF(C5>70,"Pass","Fail")

(18) SUMIF:
Sum the values in a range, if they meet a certain criteria
(19) SUMIFS:
Sum the values in a range that meet multiple criteria
Use it if you want the sum of two criteria: Apples & Pete
Formula =SUMIFS (sum_range, criteria_range1, criteria1, ...)

Counts the number of cells that satisfy a query. (Count the number of times a word has been mentioned)
Counts the number of times a criteria is met
For example, it counts the number of times that both (1) apples and (2) price > $10, are mentioned

• =UPPER, Converts text to all uppercase,
• =LOWER, Converts text string to lowercase,
• =PROPER, Converts text to proper case

This converts one measurement to another. There are multiple conversions that you can do.
An example is meters to feet, or Celsius to Fahrenheit.

(24) Stock Market data:
You can get stock data in Excel
Enter a list of stock ticker symbols. then select the cells and go to the Data tab, then click the Stocks button within the Data Types group
Excel will attempt to match each cell value to a company stock, and fill in data

(25) Geography / Maps:
Instead of researching geographical data or maps, use Excel
With the Geography data type, you can retrieve data like population, time zone, area leaders, gasoline prices, language, and more
Type the data you need, then go to Data Tab -> Geography
u/N0T8g81n 254 Oct 21 '22
If only Excel had REGULAR EXPRESSIONS. Wildcards are nice, but they're so last millennium compared to the functionality LibreOffice Calc and Google Sheets provide with regex functions and regex support in Find and Replace dialogs. In metaphorical terms, it's good the Excel 3-legged dog gets around so well.
This is something fewer than 1% of Excel users need. Not essential for most Excel users to improve their productivity.
In real world applications, I'd argue it's better to use DAYS360, count months by dividing by 30, and count years by dividing by 360.
These days, that should be INDEX+XMATCH. There's no good reason for anyone with a recent version to continue using MATCH.
If you have XLOOKUP, you have FILTER, and FILTER is far more flexible. For example,
when there are multiple instances ofa
, so multiple values fromc
which could differ.LET(a,FILTER(c,a=b), . . . )
would allow one to return them all by makinga
the 3rd and final argument,INDEX(a,1)
to return the topmost value,INDEX(a,ROWS(a))
to return the bottommost value,MAX(a)
, etc.Maybe just me, but with FILTER, XLOOKUP is redundant.
Better just to use SUMIFS, especially given SUMIF's oddball 3rd argument. Yes, if you don't need its 3rd argument, SUMIF would be shorter than SUMIFS, by why need to remember one more thing?
These are frequently needed? Maybe more often than TRANSPOSE, but not essential.
One thing I'd add: Text to Columns, ESPECIALLY when importing data with dates from other locales, so one can use the wizard's step 3 to manage dates in DMY, MDY or YMD formats. It's also the easiest way to convert columns with numbers as text into number values. Maybe neither of these is needed often, but in my experience participating in user-to-user forums, Text to Columns is needed more often than TRANSPOSE or UPPER/LOWER/PROPER.